
Sunday, November 17, 2019

Making Panels

Subtitles available.

Wednesday, November 6, 2019

Planing knots

Subtitles in English available.

Sunday, October 27, 2019

Close the Mouth

Traditionally, the patch has a trapezoidal form
Repair made with wild olive on beech
Wooden planes offer some advantages in respect to metal counterpart. Between these surely are  the minor weight (then minor efforts) and the easier sliding of plane on the piece; moreover the planed surface normally results smoother.   
The darksides are the easier plane body mouvements caused by weather changments and a minor capacity of resist to wear.

The new patch repalces the old one for closing the mouth
When the sole of a wooden plane wears or has changments in its form, it can be quicly re-levelled. Another plane can be used or a plane surface covered with abrasive paper, too.
The cut must be perfectly orthogonal. 
But, every time the sole is levelled, the funnel form of the throat causes an inevitable event: the mouth enlargement. 
Over time by levelling the mouth, it become too much large and, consequently, the plane has a poor performance.  
It is necessary to remedy by a repair: a patch shaped and glued for a proper mouth closing.  

Prepare the recess
Traditionally, a patch of same wood of the sole is used, frequently an harder wood, for provide an higer grade of wear resistance in the zone in front of the blade cutting edge, inserted as well as an inlay, made internally to the plane sides. 

Smooth the head of the board we will use for preparing the insert.
 This approach provides an elegant solution but of not easy realization; moreover if were necessary to intervent again, to make a patch  of a patch could present some troubleshoting. 
In this specific case I just had to intervent on an old repair and I opted for a slightly different approach.

I saw some japanese video where, as well as the classic patches and other methods based of mobile elements, an insert extending over all sole width were used, easily replaceable in the case of necessity.  

First, prepare a perfect square piece (10x20 mm will be good), cutting it on the head of a board. 
The piece will be oriented so the head fibers will be exposed on the sole for better wear resistence.

After the position on the sole is traced, cut across the grain for 7-8 mm and level the recess bottom by chisel and router plane. The goal is to create a precise recess for inserting the piece so it can be kept firmly in position without gluing.
By using only glue drops, we avoid a definitive gluing up.

Wait several hours
Some glue drops are sufficinet to insure it in place and, if necessary, they will not impede its eventually future remotion for wich will be enough some chisel shot for pull away the insert. 

Ciao Giuliano
After paring, the mouth appears of right dimensions: 0,4-0,5 mm are good for a smoothing plane.


Tuesday, August 27, 2019

........
Entry 1:
DFT (ωB97M-V/def2-TZVPD) results for a structure of composition C49H59N11OS4TeV.

For the highest occupied orbital energy (spin up / spin down), the calculation gives -10.80 / -10.80 eV. As for the LUMO energy (spin up / spin down): -5.5 / -4.9 eV. As for the net charge: +2. The spin multiplicity is 2. The calculation puts the HOMO-LUMO gap (spin up / spin down) at 5.321 / 5.882 eV.

Positions of all 126 atoms, in Å:
C1 3.8122 -0.5337 0.7633
H1 -0.5536 -2.3126 -0.3517
H2 3.0753 0.9997 -0.9858
N1 -4.5825 -2.5744 -0.8195
H3 -5.5410 -4.1399 -3.6595
C2 -2.0673 7.0647 -3.4574
C3 -4.5544 -0.8455 3.6392
C4 -4.9122 -3.4019 -3.1533
N2 -3.8184 1.2502 2.6958
N3 -3.3569 -1.2983 3.0953
H4 0.8286 -2.9133 -1.2466
H5 -1.2275 1.9270 4.4371
C5 3.9463 2.2642 -5.5163
C6 2.1381 -4.4042 3.1070
C7 6.5840 -0.5946 0.4563
H6 8.3766 -1.1898 -0.5756
C8 4.4743 2.7393 -3.2217
H7 0.7107 4.5839 0.5604
C9 -5.1772 -2.0279 -3.7604
H8 -2.0976 7.0718 -1.3115
C10 4.3799 -1.4205 -0.1649
H9 5.7029 3.3165 -4.8819
H10 3.2599 -3.2312 -0.5062
H11 3.1789 -2.5939 4.5976
H12 -2.2103 5.1479 0.0392
H13 -3.2451 -3.9739 -4.3945
N4 1.6704 2.5285 -0.9704
C11 5.7619 -1.4285 -0.2941
C12 3.5824 -2.3392 -1.0466
C13 -3.1760 -2.5819 3.3223
H14 -2.7660 -3.0451 -2.9929
N5 -3.0445 -1.5851 0.2794
H15 -2.9217 3.7004 -0.7033
H16 4.1261 -2.1217 3.1816
H17 6.2102 -2.1046 -1.0130
C14 -5.6144 1.4049 4.1512
H18 0.1807 -5.5572 0.6295
H19 -1.2607 -2.6974 2.6776
H20 3.7333 2.6112 -0.7756
N6 -2.0871 -3.2530 2.8722
C15 2.2488 -3.0658 2.7340
H21 0.2522 -7.0678 2.8857
H22 -3.2250 -4.7581 -2.8240
S1 -2.2133 1.3247 -0.4104
N7 -0.8498 3.6520 -0.5046
H23 -2.6735 -3.5208 -0.5372
C16 0.1147 -3.1665 -0.4612
H24 -6.2564 -1.7071 4.7213
H25 2.1092 1.2066 -5.8424
H26 4.1894 2.3278 -6.5686
N8 -5.0920 -1.4160 -0.3997
C17 1.5800 -2.6383 1.5828
C18 8.0773 -0.6586 0.3259
C19 -2.0575 4.2980 -3.2499
C20 -3.4563 -3.8209 -3.3370
C21 0.7462 -4.8556 1.2342
H27 1.5457 1.0703 -3.4516
C22 3.3128 2.1055 -2.7998
C23 1.2935 -6.7569 2.7884
H28 -6.3983 1.1418 4.8408
H29 3.0107 1.4636 2.5431
C24 -2.0878 4.3940 -0.7461
H30 1.7924 -6.9355 3.7389
C25 -0.7066 2.2872 -0.5168
C26 -5.3729 -3.4598 -1.6975
C27 -3.3220 -2.6768 -0.3855
C28 -1.1168 0.9031 4.7928
H31 -1.8750 -4.1495 3.2819
H32 -3.4303 4.3874 2.0473
N9 -3.1689 3.4200 2.1299
S2 -4.4756 -3.3168 4.1690
H33 -2.0739 8.1437 -3.5355
C29 5.9848 0.2988 1.3313
C30 2.4644 1.5567 -3.7591
C31 0.8147 -3.5308 0.8190
H34 4.1903 -2.6625 -1.8894
C32 -3.9837 2.5609 2.7502
H35 -4.5944 -1.2529 -3.2547
C33 3.1158 -2.1829 3.5917
N10 -1.1523 0.2290 2.4249
H36 2.7023 -1.8399 -1.4528
C34 2.9845 2.0279 -1.3237
V1 -2.5667 0.0128 1.5972
H37 -2.0564 3.2159 -3.1669
C35 -2.0770 5.0762 -2.0938
H38 2.7346 -1.1649 3.6976
H39 -2.0290 4.2891 -5.3908
H40 -2.5722 3.0346 1.4047
H41 0.0851 5.4720 -0.8392
H42 6.6052 0.9833 1.9003
O1 0.2358 -0.8505 3.8637
C36 -5.3000 -1.7968 4.2345
H43 5.1399 3.1781 -2.4859
H44 -6.3949 -3.1010 -1.5961
C37 -4.7452 0.5994 3.5167
H45 -6.2307 -1.7537 -3.6992
H46 -0.4433 0.8618 5.6452
........
The text goes on.

My Book on Handplanes

I just published the book "Pialle che Passione", available on Amazon.

I would be glad to provide an English edition, too, but I have not the necessary language skills for writing a book in English. 
However I wanted let you know my work, product of my passion for handplanes. Moreover someone of you around the world could know Italian language and so enjoy fully the read.

This is the presentation video:

Ciao Giuliano


Monday, August 19, 2019

Today’s Plane

It’s longtime I don’t purchase other planes......however I can show you some I restored a while ago. 
It is the case of this jointer plane clearly coming from UK I chose after some years of parking.
It’s the classic 24” beech jointer maker marks onto the body, except a “2 1/4” at the toe for indicating the iron width. This is a fine example of British plane and has an impressive Marples Shamrock blade and chipbreaker. I use to utilize it for roughing and fast dimernsioning bandsawn pieces.

It remained unused for several years, however no flattening of sole has been required, demonstrating a very stable plane body.

I set it with a substantial cutting depth: the brief video provides an idea of its efficiency.  


Monday, July 29, 2019

Rough Carpentry: Little Garden Fence

It all started when we decided of limiting part of our garden for avoiding access to Johnny.
Who is Johnny? Our incomparable Beagle!

So I thought of installing a wooden fence, 175 cm long, very  simple: two side pieces with a central gate. 

The project is quite simple but I showed its realization for a particular reason: the build was done without nails, screws or glue. 
For me is a new way of working wood. I must say I was satisfied of result: the fence is rock solid and time will tell me if the technical solutions were right.
Stiles and rails are jointed by mortice and tenon and reinforced by pins inserted through the joints; staves fit rails by a dovetail joint.   
For building the fence I used pallet wood (silver fir) without eliminate defects as nail holes, deep scratches or dead knots, all covered by a coulored paint.

Realization of mortices on the stiles.

After preparing pieces by band saw and hand planes I realized the  mortices on the stiles and the housings for insert staves on the rails. 

Trace on both the  head of staves the wished angle.

The first step was to create  the right angle on both edges of staves, with a 1:6 ratio (9,5° circa), as generally prescribed for dovetail joints on soft woods.   

The pencil marks drive for a correct bevel. 
The result. 

With angles traced on both stave heads, I utilized a jack plane for crating the bevel on both edges. 
The next step was to excavate the recesses on rails, realized with saw, chisel and router plane.   

Cut just to the inner side  of waste by a dozuki saw.

Remove the waste.
The router plane levels the bottom of stave recess.

At this point I created a double bevel  on the top of rails, so the rain can slide easily. 

The top edge of rails is bevelled in order to avoid the stagnation of rain water. 

Then realize the tenons, cut slightly wider of final dimensions. A rabbet block plane (Sargent 507) is used for the job. 

The block rebate plane is useful for giving the right dimensions to tenons.  

Because the work is glue free I preferred making tight joints, so that they was held by some mallet shot. The same was for stave insertion, apart the gate joints , held with drawbored pins. 
The holes are flared on top from both parts by a screwdriver of proper size. Pins, properly cut to the extremities, are held from both sides by wedges.   

The tip shape of a screwdriver helps to flare the hole extremities.

Pins show one or two cuts to the extremities for wedge insertion.

When inserted, the pin is held by wedges on both sides.
As said, rail tenons are fixed in their mortices by slightly unmatched holes. Drawboring was applied to fixed part of door lock, placed on one of the stiles: in this case a double mortice was made on the stile and the stop and two floating tenons are drawbored in both pieces.

I haven’t pics of this step, but I drew a sketch for illustrate the concept: 

Drawboring is used to fix the lock stop to the stile.

The fence is assembled in the shop before finishing.

Finish was two coats of cementite and two of  acrylic paint.

Saturday, May 4, 2019

BMW....Ops...VBM 7 Serie

I use to utilize, with ample rotation, all my planes, many of which kept ready to use and sharp.
Today was the Sargent VBM 714 (I restored several years ago) workshift. 
VBM stands for Very Best Made
 The 7 serie has the particular feature of having the chipbreaker incorporated into the lever cap and adjustable by a screw, without to have to remove any component.

Moreover, its position remains unchanged, in the case the blade was removed for sharpening. 
Vintage Sargent planes (VBM planes were made in the second decade of XX century) haven't nothing to envy to the best Stanley planes of that period.

Next to the page, the page also holds molecular data =
┌──
Entry 1:
Below is a molecular structure, C30H28F5N2O2RhSSi in a non-equilibrium geometry, with properties calculated with wB97M-V/def2-TZVPD.

Values from the calculation:
Kohn-Sham gap (spin up / spin down) = 6.03 / 6.03 eV
ΔE to the lowest compared entry with this formula, charge and spin = 50.5 kcal per mole
2S+1 = 1
Maximum force = 2.2 eV Å⁻¹

Each line ends with the natural charge from an NBO analysis.
Element x y z (Å)
Rh 0.63 -1.19 -0.18  0.86
C 0.92 0.37 -1.55  -0.90
Si 0.28 1.95 -0.75  1.57
C -1.62 2.05 -1.07  -0.62
N -2.39 0.85 -0.85  -0.48
C -2.90 0.05 -1.95  -0.23
C -4.37 -0.30 -1.67  -0.40
C -4.59 -0.45 -0.15  -0.40
C -3.30 -0.93 0.53  -0.41
C -2.23 0.16 0.38  -0.13
C 0.53 2.16 1.11  -0.51
C -0.41 2.84 1.90  -0.15
C -0.20 3.05 3.25  -0.24
C 0.96 2.58 3.86  -0.20
C 1.92 1.93 3.10  -0.21
C 1.70 1.73 1.74  -0.20
C 0.83 3.56 -1.54  -0.48
C 0.79 3.73 -2.93  -0.13
C 1.09 4.95 -3.51  -0.24
C 1.43 6.04 -2.72  -0.21
C 1.48 5.89 -1.34  -0.20
C 1.18 4.66 -0.75  -0.20
H 2.00 0.31 -1.68  0.24
H 0.40 0.10 -2.48  0.23
H -1.74 2.37 -2.11  0.23
H -1.98 2.88 -0.44  0.20
H -2.32 -0.87 -2.05  0.20
H -2.80 0.61 -2.88  0.20
H -4.63 -1.22 -2.20  0.19
H -5.02 0.49 -2.05  0.20
H -5.41 -1.15 0.05  0.21
H -4.86 0.51 0.27  0.20
H -2.96 -1.85 0.07  0.21
H -3.47 -1.13 1.59  0.22
H -1.19 -0.34 0.44  0.09
H -2.25 0.87 1.21  0.21
H -1.31 3.23 1.45  0.20
H -0.93 3.59 3.84  0.21
H 1.12 2.74 4.92  0.21
H 2.83 1.57 3.56  0.21
H 2.47 1.23 1.16  0.24
H 0.53 2.89 -3.56  0.19
H 1.06 5.06 -4.59  0.21
H 1.66 6.99 -3.17  0.21
H 1.74 6.73 -0.71  0.21
H 1.23 4.56 0.32  0.22
O -0.96 -2.31 -1.23  -0.61
N -0.84 -3.62 -1.32  0.03
C -1.93 -4.34 -1.64  0.03
C -1.88 -5.70 -1.75  -0.26
C -0.66 -6.35 -1.54  -0.16
C 0.45 -5.60 -1.22  -0.22
C 0.35 -4.21 -1.09  0.01
S 1.68 -3.22 -0.63  0.05
H -2.83 -3.76 -1.80  0.24
H -2.77 -6.25 -2.00  0.24
H -0.58 -7.42 -1.61  0.23
H 1.42 -6.04 -1.06  0.24
F 4.60 -3.64 4.70  -0.29
C 4.09 -2.96 3.67  0.24
C 4.88 -2.61 2.59  0.26
F 6.16 -2.99 2.57  -0.29
C 4.35 -1.90 1.53  0.31
F 5.15 -1.58 0.51  -0.30
C 3.01 -1.49 1.49  0.20
O 2.56 -0.78 0.47  -0.72
C 2.24 -1.90 2.59  0.24
F 0.92 -1.65 2.56  -0.32
C 2.75 -2.60 3.66  0.28
F 1.96 -2.95 4.67  -0.29

***

Entry 2:
Below is 5 unconnected molecules or ions with the total composition C30H28IN4O16 in a non-equilibrium geometry, with properties calculated with wB97M-V/def2-TZVPD.

Values from the calculation:
Total charge = +1
Kohn-Sham gap = 7.01 eV
2S+1 = 1
Maximum force = 6.0 eV Å⁻¹

Each line ends with the Mulliken charge.
Element x y z (Å)
C -1.57 2.81 3.93  -1.17
C -2.28 1.41 3.50  0.46
C -3.69 1.85 2.83  -1.37
C -1.41 0.57 2.46  -0.79
N 0.06 0.82 2.54  0.12
C 0.82 0.39 1.50  0.07
N 2.24 0.69 1.58  -0.43
C 2.71 0.14 0.33  -0.14
I 4.75 0.20 -0.44  0.24
N 1.59 -0.45 -0.35  0.03
N 0.41 -0.31 0.33  0.19
H -0.86 2.54 4.77  0.28
H -2.33 3.60 4.19  0.37
H -0.93 3.12 3.04  0.25
H -2.49 0.76 4.41  0.31
H -4.43 1.00 2.77  0.33
H -3.50 2.37 1.83  0.34
H -4.15 2.65 3.52  0.38
H -1.61 -0.55 2.50  0.33
└──

Unlike the Stanley ones, the frog is not adjustable, but this don't create particular discomfort in the use of a 714 (n° 5 equivalent). So, in the smoothing planes of the serie (707, 708, 710), the anti-tearout role is provided only by chipbraker and maybe is this the reason for which the mouth is kept rather abundant (at least in the 714 I have; would be interesting to know if this is true for smoothing models too).
Below all models of 7 serie are listed (with approx. lenght):

**Misplaced data records**
........
{"formula": "C9H18Br3N2O3", "method": "wB97M-V/def2-TZVPD", "species": ["C", "C", "O", "C", "C", "C", "N", "C", "N", "C", "C", "O", "O", "H", "H", "H", "H", "H", "H", "H", "H", "H", "H", "H", "H", "H", "H", "H", "H", "H", "C", "Br", "Br", "Br", "H"], "coordinates": [[-1.754018, -0.252538, -3.176225], [-0.729797, -0.913111, -2.102504], [-0.042847, 0.061682, -1.289627], [-0.395666, -0.039791, 0.117844], [0.857697, 0.502835, 0.965903], [0.468580, 1.246828, 2.342386], [0.034507, 2.645873, 1.949493], [-0.748242, 0.590903, 3.146521], [-0.438562, -0.709290, 3.810591], [-1.119764, -1.871830, 3.182157], [1.822739, 1.422401, 3.182589], [2.634877, 0.425738, 3.317090], [2.217639, 2.636273, 3.758583], [-2.307778, -1.130936, -3.683809], [-1.228444, 0.329415, -4.004054], [-2.579540, 0.370777, -2.656719], [-1.337968, -1.685776, -1.519915], [0.074917, -1.452017, -2.739939], [-1.343064, 0.596428, 0.297973], [-0.535794, -1.141168, 0.397616], [1.432053, 1.284415, 0.332987], [1.581900, -0.375151, 1.115660], [-0.814603, 2.613999, 1.367975], [0.816062, 3.116286, 1.466954], [-1.684110, 0.426750, 2.484957], [-1.083637, 1.320670, 3.974021], [0.570452, -0.863184, 3.944185], [-2.226711, -1.707585, 2.959488], [-1.063857, -2.736064, 3.954118], [-0.606633, -2.267033, 2.232453], [2.010449, -0.472650, -5.888135], [2.040644, 0.775297, -4.404967], [1.993676, -2.314834, -5.279978], [0.549579, -0.104104, -7.111062], [2.935262, -0.329508, -6.444608]], "atomic_forces_ev_per_a": [[-0.43, -0.73, 0.42], [-0.22, 0.20, -1.81], [-1.13, -1.41, 0.22], [0.80, 0.64, 0.68], [0.14, -0.46, -0.30], [0.01, 1.13, -1.15], [-0.14, -0.85, 0.36], [0.02, 0.39, 0.63], [-1.05, -0.13, -1.07], [0.71, -1.30, 0.70], [4.45, 2.54, 3.41], [-3.01, 1.25, -0.98], [-2.98, -4.64, -3.10], [0.87, 1.28, 0.69], [-0.65, -0.59, 1.33], [1.54, -0.80, -0.83], [1.04, 1.08, -0.45], [-1.24, 0.65, 1.14], [1.27, -1.13, -0.13], [-0.20, 1.58, -0.39], [-1.03, -1.29, 0.95], [-1.07, 1.29, 0.03], [0.76, -0.03, 0.08], [-0.76, -0.35, 0.44], [1.59, 0.38, 0.78], [0.72, -0.78, -1.40], [-0.56, 0.24, -0.38], [1.53, 0.13, 0.37], [-0.20, 1.21, -1.31], [-0.74, 0.54, 1.04], [0.18, 0.15, 0.08], [-0.10, -0.35, -0.28], [-0.05, 0.34, -0.11], [0.21, -0.09, 0.23], [-0.28, -0.07, 0.13]], "energy_ev": -228873.284, "relative_energy_ev": 1.610, "total_charge": -1, "fmax_ev_per_a": 6.32, "homo_lumo_gap_ev": 5.22, "homo_ha": -0.140}

=====

[1]
The following is a quantum chemistry calculation of a structure of composition C43H45B2F4FeN5O5PS2Te, from the Open Molecules 2025 dataset.

XYZ file:
```
109
Properties=species:S:1:pos:R:3:forces:R:3
Te -0.073619 -2.205835 -0.446059 0.23 -0.04 0.14
Fe -0.087475 1.582418 -1.775515 0.78 0.03 0.07
S -0.360034 1.860128 0.935115 -0.28 -0.08 0.28
S 1.736334 4.563694 1.273564 -0.08 -0.06 0.01
P 0.692422 3.139158 2.118052 0.06 0.33 -0.25
F -2.813133 0.534773 -4.090247 0.02 -0.16 0.29
F -3.610020 -1.188778 -2.744825 0.19 0.12 -0.05
F -0.205650 4.888562 -3.947200 0.29 -0.11 0.16
F 1.986663 5.516371 -3.486001 -0.16 -0.16 0.02
........

707, 7"
708, 8"
710, 10"
711, 11"
714, 14"
718, 18"
722, 22"